Experiencing Leadership Like a Coach

hen my son, Jack, and daughter, Kate, were young and playing defence on sports teams, if the team would lose, they would be upset and feel pressure that they lost the game for the team. It took a lot of convincing and more experience playing sports to learn that winning in anything takes a team effort. What do sports teams have that schools do not? Teams have coaches.


I entered into the principal role thinking I had it all figured out. I did not have a game plan per se, but I had focus, I had direction, and it was good — so I thought. And because it was good, people would follow. I saw things that needed to be changed and change was going to be easy. I was going to make sure that I had answers to all questions that came my way because I was the principal — I needed to have answers and I needed to solve problems. That was what I considered my role as the leader. I would like to say that I quickly figured out that I would never have it all figured out, but it was not so quick. I wondered why teachers were sometimes baulking at my ideas and why some were disgruntled. I kept thinking, I am doing my best and doing what is right, so why can’t they figure that out and follow along?

I eventually learned in my tenure as principal that I needed to develop more of a coaching relationship with teachers because a coaching relationship is built on trust and coaching addresses the needs of individuals. And in order to work towards having a successful school built on trust, I needed a team. I needed “3 Ps” as a game plan:

1. Professional learning

2. People collaboration

• Unrelated to this page: calculated crystals:
/*
Entry 1:
Entry from Alexandria: a relaxed AcTbCd2 crystal (PBE).

Cell: 5.5600 5.5600 5.5600 Å, 60.00 60.00 60.00°
Site moments in Bohr magnetons follow the coordinates.
Atoms (fractional coordinates):
Ac: 0.5000 0.5000 0.5000  0.09
Tb: 0.0000 0.0000 0.0000  0.21
Cd: 0.2500 0.2500 0.2500  0.01
Cd: 0.7500 0.7500 0.7500  0.01

**Total magnetization**: 0.66 μB/f.u.
**Volume**: 30.4 Å³/atom
**Energy relative to the lowest polymorph listed for this composition**: 0.12 eV/f.u.
**Raw total energy**: -0.2134 Ry/atom


Entry 2:
Entry from Alexandria: a relaxed MoBr crystal (PBE).

Cell: 4.6084 4.6084 4.6084 Å, 39.08 39.08 39.08°
Atoms (fractional coordinates):
Mo: 0.5000 0.5000 0.5000
Br: 0.0000 0.0000 0.0000

**Total magnetization**: 0.00 μB/f.u.
**Volume**: 17.5 Å³/atom
**Energy relative to the lowest polymorph listed for this composition**: 1.81 eV/f.u.
**Raw total energy**: -0.3984 Ry/atom
**Uncorrected formation energy**: 1.662 eV/f.u.


Entry 3:
Entry from Alexandria: a relaxed Li12Cd6Au crystal (PBE).

Cell: 7.1522 7.1522 7.1522 Å, 91.14 91.14 91.14°
Atoms (fractional coordinates):
Li: 0.8002 0.5288 0.4384
Li: 0.4384 0.8002 0.5288
Li: 0.5288 0.4384 0.8002
Li: 0.1998 0.4712 0.5616
Li: 0.5616 0.1998 0.4712
Li: 0.4712 0.5616 0.1998
Li: 0.0346 0.1484 0.3664
Li: 0.8516 0.6336 0.9654
Li: 0.6336 0.9654 0.8516
Li: 0.9654 0.8516 0.6336
Li: 0.1484 0.3664 0.0346
Li: 0.3664 0.0346 0.1484
Cd: 0.7216 0.8826 0.2736
Cd: 0.7264 0.2784 0.1174
Cd: 0.1174 0.7264 0.2784
Cd: 0.2784 0.1174 0.7264
Cd: 0.2736 0.7216 0.8826
Cd: 0.8826 0.2736 0.7216
Au: 0.0000 0.0000 0.0000

**Total magnetization**: 0.00 μB/f.u.
**Volume**: 19.2 Å³/atom
**Raw total energy**: -0.1383 Ry/atom


Entry 4:
Entry from Alexandria: a relaxed Cu3SbPt crystal (PBE).

Cell: 4.7137 4.7137 4.7137 Å, 90.00 90.00 90.00°
Atoms (fractional coordinates):
Sb: 0.0000 0.0000 0.0000
Cu: 0.0000 0.5000 0.0000
Cu: 0.0000 0.0000 0.5000
Cu: 0.5000 0.0000 0.0000
Pt: 0.5000 0.5000 0.5000

**Total magnetization**: 0.00 μB/f.u.
**Volume**: 20.9 Å³/atom
**Energy relative to the lowest polymorph listed for this composition**: 1.46 eV/f.u.
**Raw total energy**: -0.2588 Ry/atom
**Uncorrected formation energy**: 4.849 eV/f.u.


Entry 5:
Entry from Alexandria: a relaxed Ho5Sb4C crystal (PBE).

Cell: 6.1039 7.2919 7.2919 Å, 79.91 65.26 65.26°
Atoms (fractional coordinates):
Ho: 0.9072 0.3458 0.8424
Ho: 0.2530 0.8424 0.6542
Ho: 0.7496 0.1576 0.3458
Ho: 0.0954 0.6542 0.1576
Ho: 0.4397 0.0000 0.0000
Sb: 0.4211 0.3946 0.7720
Sb: 0.8157 0.7720 0.6054
Sb: 0.1931 0.2280 0.3946
Sb: 0.5877 0.6054 0.2280
C: 0.0479 0.0000 0.0000

**Total magnetization**: 0.00 μB/f.u.
**Volume**: 26.8 Å³/atom
**Raw total energy**: -0.4173 Ry/atom
**Uncorrected formation energy**: -8.172 eV/f.u.


Entry 6:
Entry from Alexandria: a relaxed SrSe4 crystal (PBE).

Cell: 5.9925 5.9925 5.9925 Å, 90.00 90.00 90.00°
Site moments in Bohr magnetons follow the coordinates.
Atoms (fractional coordinates):
Sr: 0.5000 0.5000 0.5000  -0.01
Se: 0.0000 0.0000 0.0000  1.23
*/

3. Purposeful measurement

Professional learning

With subtle nudging from conferences and educational reading material, I pondered the idea of a “coach.” I came to the realization that professional learning for me as well as others in my school was imperative and I recognized that coaching supports that ongoing professional learning. As Stanley (2003) has stated, “get a coach and you will never stop improving. Become a coach and ensure the improvement of those around you” (p. 127).

Professional learning became a monthly focus, replacing the “administrivial” aspects of monthly staff meetings. Professional learning items such as cross curricular literacy and formative assessment emerged. In turn, conversations in teaching teams changed, and included phrases such as, “we have decided that the two book studies we will be doing as a team are…” and “we will prepare a lesson together on…” amongst others. Essentially, the “game plan” for meetings was teachers looking at what was needed for professional learning. Just as Hattie (2012) has pointed out, “coaching involves empowering people by facilitating self-directed learning, personal growth, and improved performance” (p. 72).

In sports, a good coach expects his/her players to be passionate about their sport and learn all they can to become better and help others learn. In education, school leaders want the same of teachers, to be passionate about their teaching and to be continuously learning, and like a coach, I wanted to help. I learned that I needed to learn from others, as well as help others learn. Not everyone needed the same help, but I needed to listen, observe, and make decisions with them, together.

In preparation for a sports game, players learn different plays prior to meeting other teams. Players practice. In contrast, in preparation for teaching specific grade levels and differentiated student needs, teachers must learn and adapt what they do based on the “team” of students they are to teach. I sometimes overlooked the fact that teachers are not given the luxury to practice a new game play prior to their game. Their practice is encompassed through the delivery of course content. In essence, their practice is the game of teaching. I needed to respect and appreciate that even at the best of times, it is difficult for anyone to change what has always been done; this is even more difficult without practice. I worked on that premise when considering how I could help teachers.

And, just as a good coach models good practice, I knew I must model professional learning, model being passionate about becoming better, and offer support to teachers as they aimed to improve within the profession. This support for professional learning and developing leaders in the school included creatively arranging time for teachers to meet, plus offering the opportunity for teachers to observe lead teachers in other classes, co-teach, share best practices, co-plan lessons, and determine student interventions from assessment data. Maxwell (2005) wrote, “if you want your organization to reach its potential, if you want it to go from good to great (or even average to good), you need to develop a team of leaders, people who can fill in each others’ gaps, people who challenge and sharpen each other” (p. 306). I wanted to develop a team of leaders working together. That led to more of a focus on people collaborating.

People collaborating

A coach allocates time for players to play together and learn together. Hattie (2012) said,

within a school, we need to collaborate to build a team working together to solve the dilemmas in learning, to collectively share and critique the nature and quality of evidence that shows our impact on student learning, and to cooperate in planning and critiquing lessons, learning intentions, and success criteria on a regular basis. (p. 172)

I needed to look at how I could accommodate the collaboration process, knowing that like players, teachers must be afforded the time to work together and learn together for their “game” of teaching students. Collaboration time was therefore allocated within teachers’ schedules. Through this collaboration and conversation, teachers were becoming more like coaches, supporting and trusting one another, enhancing each other’s skill, reflecting on subject content, and setting goals and interventions based on data. Collaboration sounded like: “we will begin the writing enrichment group next week,” “let’s create some videos on doing fractions to upload to the website,” and “everyone create a word problem for bell work so that we have a bank of them.” Teachers developed a committed focus towards student learning while I was helping to create collaborative opportunities. Gross Cheliotes and Reilly (2010) have explained, “coaching conversations encourage others to be reflective and exercise responsibility” (p. 57). That started happening! Many teachers began seeing the benefit in working together and often chiselled out even more time for the purpose of collaborating and enhancing their expertise in their field. I realized that even though I was the principal, I did not need to know the entire curriculum, or all the best teaching strategies, or all the student support mechanisms, but that I must collaborate in a way that is empowering, granting teachers freedom to figure things out. I became part of the professional meetings with teachers, sharing best practices, learning together and from each other, looking at available evidence of learning, building principles together, not recipes. Throughout, as a backdrop to this process, we recognized the importance of promoting a community of learners akin to the characteristics of an effective professional learning community (PLC): shared mission, vision, and values; collective inquiry; collaborative teams; action orientation and experimentation; continuous improvement; and results orientation (DuFour & Eaker, 1998, pp. 25-29).

The process of collaboration in a professional learning community started to become embedded into our culture. We had grade-level teams, subject teams, a student team, a parent team, and a core leadership team consisting of administration and teacher leads from each grade and subject team. As Carr, Herman, and Harris (2005) have stated,

in a learning community, adults and children alike are learners as they experiment, give and receive feedback, and use and offer support. When these interactions are embedded in the school culture, a new synergy evolves and a shift occurs — a shift to the forward momentum of collaborative school renewal.” (p. 1)

I learned firsthand that having productive teams was more important than a checklist of classroom observations. This was cemented when reading more from DuFour and Mattos (2013) when they stated, “both research and our own expertise as principals have convinced us that this PLC process is more likely to improve instruction than classroom observations” (p. 38). Collaboration is more important than classroom observations. Indeed, this was a huge paradigm shift in leadership thinking, but which, through my own experience, I felt was completely accurate as well as appropriate.

Eventually as a staff, we started focusing on students and their part in this collaboration. We determined that students must be more part of the collaboration in the process of assessment for evaluations to clearly and accurately reflect where students are in their learning. With student learning being our whole modus operandi in education, it only made sense. But we knew we needed to learn more. We investigated this question through a book study of Gregory, Cameron, and Davies (2011), whose work focused on how to involve students in their learning. The authors found that collaboration for students can happen in many forms, including students co-constructing criteria, self-assessing, setting goals, and being involved in conferencing and reporting to support the learning. Further, by way of support, Davies and Herbst (2013) said,

we have learned that successful implementation of assessment in support of learning occurs when students, teachers, school leaders, and system leaders are all involved and all engaged in using assessment to support learning — both their own learning and the learning of those around them. (p. 19)

Adults and students alike became more essential in the game plan of learning, and where measuring the learning in a more meaningful, purposeful way became even more important.

Purposeful measuring

Purposeful measuring included formative assessment, but not just adding formative assessments onto the old paradigm of grading. Stobart (2014) has explained that the ideas and concepts that stand firm in formative assessments are: finding out where the learners are, building on what they know, providing feedback that gives information, and helping students be self-regulated learners. With that in mind, more formative assessments included having rubrics for learning, with students involved in creating those rubrics. It also required changing the conversation around feedback. It was recognized by many teachers that gone were the days of assigning work to students, evaluating, and making corrections. Consideration was given to the use of feedback to students, and teachers reflecting on the quality of the feedback. More of us learned that students did not need to hear “good job”; instead, they needed more critical and informative feedback.

From our professional learning and collaboration, we learned that students wanted feedback-rich classroom settings, where there were discussions with teachers and among peers regarding assessment, just as the word assessment itself is defined — sit by1 which is very different from standing across from, as most of us as teachers have done in our practice. Many teachers saw that when they sat next to the learner (as opposed to standing across from them), they felt it showed the learners that they were not there to judge but to sincerely help. Student assessment conversations started happening in team meetings. Meeting minutes included comments such as “as a team, we looked at our common formative assessment to see if it met our needs to assess the skills that have been worked on during class and during our interventions,” and “based on the data, these students will continue to work on this outcome.”

As a collective group, more started striving for the height of purposeful measuring, knowing where students are in their learning by holding conversations with students, gathering products from students, and observing students, as good coaches do with their teams. So with a coaching mindset, ownership and the measuring of learning started shifting.


Regardless of the word used, whether it is coach, mentor, advisor, guide, or confidant, developing a coaching mindset continues to be part of our game plan for learning, collaborating, and measuring to ensure student success. Coaching allowed us to work as a team to strive more towards becoming a highly productive school based on professional learning, people collaboration, and purposeful measurement. We are a lot further along today than we were before, but it did not happen overnight, nor for all. The hardest ones to “bring along” were those who did not like change, or did not want to spend time on the game plan of professional learning, collaboration, or purposeful measurement. In the end, I had to assume that they were doing the best that they knew. I had to focus on the best way of improving what they knew and the best way of changing mindsets. Working together as a team became the key to moving forward. I figured out that more tended to move along the coaching process with help from other colleagues, along with my support rather than my dictating. So it was not seamless, nor is it still, but as John Whitmore has said, “coaches focus on future possibilities, not past mistakes” (as cited in Stanley, 2003, p. 119). With that in mind, together as a team, we continue to look at what is essential in moving forward in education for the sake of maximizing student — and teacher — learning.


    1. Based on Latin assidere, (“Assess,” n.d.)


Assess. (n.d.). In Oxford dictionaries (11th ed.). Retrieved from

Carr, J. F., Herman, N., & Harris, D. E. (2005). Creating dynamic schools through mentoring, coaching, and collaboartaion. Alexandria, VA: ASCD.

Davies, A., & Herbst, S. (2013). Assessment in the service of learning. Education Canada, 53(3), 17-19.

DuFour, R., & Eaker, R. (1998). Professional learning communities at work: Best practices for enhancing student achievement. Bloomington, IN: National Educational Service.

DuFour, R., & Mattos, M. (2013). How do principals really improve schools? Educational Leadership, 70(7), 34-40.

Gregory, K., Cameron, C., & Davies, A. (2011). The knowing what counts series: Setting and using criteria; self-assessment and goal setting; conferencing and reporting. Courtney, BC: Connections.

Gross Cheliotes, L., & Fleming Reilly, M. (2010). Coaching conversation. Thousand Oaks, CA: Corwin.

Hattie, J. (2012). Visible learning for teachers, maximizing impact on learning. Abingdon, OX: Routledge.

Maxwell, J. (2005). The 360° leader: Developing your influence from anywhere in the organization. Nashville, TN: Thomas Nelson.

Stanley, A. (2003). Next generation leader: Five essentials for those who will shape the future. Colorado Springs, CO: Multnomah Books.

Stobart, G. (2014). The expert learner: Challenging the myth of ability. Berkshire, England: Open University Press.